_Given_
┌──
[1]
Structure and calculated X-ray diffraction stick pattern of Nd4TeIr2 (a cell relaxed with PBE; Cu Kα (λ = 1.5418 Å)).

Structure:
```
data_Nd4TeIr2
_chemical_formula_sum 'Nd16 Te4 Ir8'
_cell_length_a 8.793
_cell_length_b 8.793
_cell_length_c 12.415
_cell_angle_alpha 90.00
_cell_angle_beta 90.00
_cell_angle_gamma 90.00
_space_group_name_H-M_alt 'I 41/a m d'
_space_group_IT_number 141
loop_
_space_group_symop_operation_xyz
'x,y,z'
'-x,-y,-z'
'-y+1/4,x+3/4,z+1/4'
'y+1/4,-x+3/4,-z+1/4'
'-x+1/2,-y,z+1/2'
'x+1/2,y,-z+1/2'
'y+1/4,-x+1/4,z+3/4'
'-y+1/4,x+1/4,-z+3/4'
'x,-y,-z'
'-x,y,z'
'-y+1/4,-x+1/4,-z+3/4'
'y+1/4,x+1/4,z+3/4'
'-x+1/2,y,-z+1/2'
'x+1/2,-y,z+1/2'
'y+1/4,x+3/4,-z+1/4'
'-y+1/4,-x+3/4,z+1/4'
'x+1/2,y+1/2,z+1/2'
'-x+1/2,-y+1/2,-z+1/2'
'-y+3/4,x+1/4,z+3/4'
'y+3/4,-x+1/4,-z+3/4'
'-x,-y+1/2,z'
'x,y+1/2,-z'
'y+3/4,-x+3/4,z+1/4'
'-y+3/4,x+3/4,-z+1/4'
'x+1/2,-y+1/2,-z+1/2'
'-x+1/2,y+1/2,z+1/2'
'-y+3/4,-x+3/4,-z+1/4'
'y+3/4,x+3/4,z+1/4'
'-x,y+1/2,-z'
'x,-y+1/2,z'
'y+3/4,x+1/4,-z+3/4'
'-y+3/4,-x+1/4,z+3/4'
loop_
_atom_site_label
_atom_site_fract_x
_atom_site_fract_y
_atom_site_fract_z
Nd1 0.000 0.037 0.268
Te1 0.000 0.250 0.875
Ir1 0.000 0.000 0.500
```

Main lines, in order of rising 2θ (2θ from 10° to 90°):
d/Å	I (rel.)	(hkl)
7.176	527	1 0 1
4.394	161	2 0 0
3.747	521	1 0 3
3.107	833	0 0 4
2.392	662	3 2 1
2.197	1000	2 2 4
1.794	173	4 0 4
1.740	172	5 0 1
1.618	155	5 0 3
1.269	225	4 0 8

---

[2]
Structure and calculated X-ray diffraction stick pattern of ZnCI3 (a cell relaxed with PBE; Cu Kα (λ = 1.5418 Å)).

Structure:
```
data_ZnCI3
_chemical_formula_sum 'Zn1 C1 I3'
_cell_length_a 5.127
_cell_length_b 5.127
_cell_length_c 5.127
_cell_angle_alpha 90.00
_cell_angle_beta 90.00
_cell_angle_gamma 90.00
_space_group_name_H-M_alt 'P m -3 m'
_space_group_IT_number 221
_space_group_name_Hall '-P 4 2 3'
loop_
_atom_site_label
_atom_site_fract_x
_atom_site_fract_y
_atom_site_fract_z
Zn1 0.000 0.000 0.000
C1 0.500 0.500 0.500
I1 0.000 0.500 0.500
```

Main lines, in order of rising 2θ (2θ from 10° to 90°):
d/Å	I (rel.)	(hkl)
5.127	70	1 0 0
2.960	1000	1 1 1
2.564	555	2 0 0
2.293	31	2 1 0
1.813	385	2 2 0
1.546	420	3 1 1
1.480	130	2 2 2
1.282	60	4 0 0
1.176	172	3 3 1
1.147	172	4 2 0

---

[3]
Structure and calculated X-ray diffraction stick pattern of Mg5ZnPb2 (a cell relaxed with PBE; Cu Kα (λ = 1.5418 Å)).

Structure:
```
data_Mg5ZnPb2
_chemical_formula_sum 'Mg5 Zn1 Pb2'
_cell_length_a 6.666
_cell_length_b 6.666
_cell_length_c 4.838
_cell_angle_alpha 90.00
_cell_angle_beta 90.00
_cell_angle_gamma 90.00
_space_group_name_H-M_alt 'P 4/m m m'
_space_group_IT_number 123
_space_group_name_Hall '-P 4 2'
loop_
_atom_site_label
_atom_site_fract_x
_atom_site_fract_y
_atom_site_fract_z
Mg1 0.000 0.000 0.000
Mg2 0.275 0.275 0.500
Zn1 0.000 0.000 0.500
Pb1 0.000 0.500 0.000
```

Main lines, in order of rising 2θ (2θ from 10° to 90°):
d/Å	I (rel.)	(hkl)
4.838	179	0 0 1
4.713	491	1 1 0
3.376	1000	1 1 1
3.333	384	2 0 0
2.745	598	2 0 1
2.419	185	0 0 2
2.357	332	2 2 0
1.958	181	2 0 2
1.932	415	3 1 1
1.688	239	2 2 2

---

[4]
Structure and calculated X-ray diffraction stick pattern of TmGa4Pd4 (a cell relaxed with PBE; Cu Kα (λ = 1.5418 Å)).

Structure:
```
data_TmGa4Pd4
_chemical_formula_sum 'Tm2 Ga8 Pd8'
_cell_length_a 6.038
_cell_length_b 6.038
_cell_length_c 8.691
_cell_angle_alpha 90.00
_cell_angle_beta 90.00
_cell_angle_gamma 90.00
_space_group_name_H-M_alt 'P 42/n m c'
_space_group_IT_number 137
loop_
_space_group_symop_operation_xyz
'x,y,z'
'-x,-y,-z'
'-y+1/2,x,z+1/2'
'y+1/2,-x,-z+1/2'
'-x+1/2,-y+1/2,z'
'x+1/2,y+1/2,-z'
'y,-x+1/2,z+1/2'
'-y,x+1/2,-z+1/2'
'x+1/2,-y,-z'
'-x+1/2,y,z'
'-y,-x,-z+1/2'
'y,x,z+1/2'
'-x,y+1/2,-z'
'x,-y+1/2,z'
'y+1/2,x+1/2,-z+1/2'
'-y+1/2,-x+1/2,z+1/2'
loop_
_atom_site_label
_atom_site_fract_x
_atom_site_fract_y
_atom_site_fract_z
Tm1 0.250 0.750 0.250
Ga1 0.037 0.250 0.058
Pd1 0.022 0.250 0.353
```

Main lines, in order of rising 2θ (2θ from 10° to 90°):
d/Å	I (rel.)	(hkl)
3.046	183	1 1 2
2.612	332	1 0 3
2.579	1000	2 1 1
└──

_Job_
It remains to copy the whole of the notes further above word for word.

_Outcome_
[1]
Structure and calculated X-ray diffraction stick pattern of Nd4TeIr2 (a cell relaxed with PBE; Cu Kα (λ = 1.5418 Å)).

Structure:
```
data_Nd4TeIr2
_chemical_formula_sum 'Nd16 Te4 Ir8'
_cell_length_a 8.793
_cell_length_b 8.793
_cell_length_c 12.415
_cell_angle_alpha 90.00
_cell_angle_beta 90.00
_cell_angle_gamma 90.00
_space_group_name_H-M_alt 'I 41/a m d'
_space_group_IT_number 141
loop_
_space_group_symop_operation_xyz
'x,y,z'
'-x,-y,-z'
'-y+1/4,x+3/4,z+1/4'
'y+1/4,-x+3/4,-z+1/4'
'-x+1/2,-y,z+1/2'
'x+1/2,y,-z+1/2'
'y+1/4,-x+1/4,z+3/4'
'-y+1/4,x+1/4,-z+3/4'
'x,-y,-z'
'-x,y,z'
'-y+1/4,-x+1/4,-z+3/4'
'y+1/4,x+1/4,z+3/4'
'-x+1/2,y,-z+1/2'
'x+1/2,-y,z+1/2'
'y+1/4,x+3/4,-z+1/4'
'-y+1/4,-x+3/4,z+1/4'
'x+1/2,y+1/2,z+1/2'
'-x+1/2,-y+1/2,-z+1/2'
'-y+3/4,x+1/4,z+3/4'
'y+3/4,-x+1/4,-z+3/4'
'-x,-y+1/2,z'
'x,y+1/2,-z'
'y+3/4,-x+3/4,z+1/4'
'-y+3/4,x+3/4,-z+1/4'
'x+1/2,-y+1/2,-z+1/2'
'-x+1/2,y+1/2,z+1/2'
'-y+3/4,-x+3/4,-z+1/4'
'y+3/4,x+3/4,z+1/4'
'-x,y+1/2,-z'
'x,-y+1/2,z'
'y+3/4,x+1/4,-z+3/4'
'-y+3/4,-x+1/4,z+3/4'
loop_
_atom_site_label
_atom_site_fract_x
_atom_site_fract_y
_atom_site_fract_z
Nd1 0.000 0.037 0.268
Te1 0.000 0.250 0.875
Ir1 0.000 0.000 0.500
```

Main lines, in order of rising 2θ (2θ from 10° to 90°):
d/Å	I (rel.)	(hkl)
7.176	527	1 0 1
4.394	161	2 0 0
3.747	521	1 0 3
3.107	833	0 0 4
2.392	662	3 2 1
2.197	1000	2 2 4
1.794	173	4 0 4
1.740	172	5 0 1
1.618	155	5 0 3
1.269	225	4 0 8

---

[2]
Structure and calculated X-ray diffraction stick pattern of ZnCI3 (a cell relaxed with PBE; Cu Kα (λ = 1.5418 Å)).

Structure:
```
data_ZnCI3
_chemical_formula_sum 'Zn1 C1 I3'
_cell_length_a 5.127
_cell_length_b 5.127
_cell_length_c 5.127
_cell_angle_alpha 90.00
_cell_angle_beta 90.00
_cell_angle_gamma 90.00
_space_group_name_H-M_alt 'P m -3 m'
_space_group_IT_number 221
_space_group_name_Hall '-P 4 2 3'
loop_
_atom_site_label
_atom_site_fract_x
_atom_site_fract_y
_atom_site_fract_z
Zn1 0.000 0.000 0.000
C1 0.500 0.500 0.500
I1 0.000 0.500 0.500
```

Main lines, in order of rising 2θ (2θ from 10° to 90°):
d/Å	I (rel.)	(hkl)
5.127	70	1 0 0
2.960	1000	1 1 1
2.564	555	2 0 0
2.293	31	2 1 0
1.813	385	2 2 0
1.546	420	3 1 1
1.480	130	2 2 2
1.282	60	4 0 0
1.176	172	3 3 1
1.147	172	4 2 0

---

[3]
Structure and calculated X-ray diffraction stick pattern of Mg5ZnPb2 (a cell relaxed with PBE; Cu Kα (λ = 1.5418 Å)).

Structure:
```
data_Mg5ZnPb2
_chemical_formula_sum 'Mg5 Zn1 Pb2'
_cell_length_a 6.666
_cell_length_b 6.666
_cell_length_c 4.838
_cell_angle_alpha 90.00
_cell_angle_beta 90.00
_cell_angle_gamma 90.00
_space_group_name_H-M_alt 'P 4/m m m'
_space_group_IT_number 123
_space_group_name_Hall '-P 4 2'
loop_
_atom_site_label
_atom_site_fract_x
_atom_site_fract_y
_atom_site_fract_z
Mg1 0.000 0.000 0.000
Mg2 0.275 0.275 0.500
Zn1 0.000 0.000 0.500
Pb1 0.000 0.500 0.000
```

Main lines, in order of rising 2θ (2θ from 10° to 90°):
d/Å	I (rel.)	(hkl)
4.838	179	0 0 1
4.713	491	1 1 0
3.376	1000	1 1 1
3.333	384	2 0 0
2.745	598	2 0 1
2.419	185	0 0 2
2.357	332	2 2 0
1.958	181	2 0 2
1.932	415	3 1 1
1.688	239	2 2 2

---

[4]
Structure and calculated X-ray diffraction stick pattern of TmGa4Pd4 (a cell relaxed with PBE; Cu Kα (λ = 1.5418 Å)).

Structure:
```
data_TmGa4Pd4
_chemical_formula_sum 'Tm2 Ga8 Pd8'
_cell_length_a 6.038
_cell_length_b 6.038
_cell_length_c 8.691
_cell_angle_alpha 90.00
_cell_angle_beta 90.00
_cell_angle_gamma 90.00
_space_group_name_H-M_alt 'P 42/n m c'
_space_group_IT_number 137
loop_
_space_group_symop_operation_xyz
'x,y,z'
'-x,-y,-z'
'-y+1/2,x,z+1/2'
'y+1/2,-x,-z+1/2'
'-x+1/2,-y+1/2,z'
'x+1/2,y+1/2,-z'
'y,-x+1/2,z+1/2'
'-y,x+1/2,-z+1/2'
'x+1/2,-y,-z'
'-x+1/2,y,z'
'-y,-x,-z+1/2'
'y,x,z+1/2'
'-x,y+1/2,-z'
'x,-y+1/2,z'
'y+1/2,x+1/2,-z+1/2'
'-y+1/2,-x+1/2,z+1/2'
loop_
_atom_site_label
_atom_site_fract_x
_atom_site_fract_y
_atom_site_fract_z
Tm1 0.250 0.750 0.250
Ga1 0.037 0.250 0.058
Pd1 0.022 0.250 0.353
```

Main lines, in order of rising 2θ (2θ from 10° to 90°):
d/Å	I (rel.)	(hkl)
3.046	183	1 1 2
2.612	332	1 0 3
2.579	1000	2 1 1